Wanted >
What is needed: search the entries further down for the word "Geometry" and write out each line that has it.

Contents >
/*
Entry from OMol25: C11H20BeN2OP as an isolated structure at a distorted geometry (ωB97M-V/def2-TZVPD).

Last column: Löwdin charge in e.
Geometry (Å):
H 0.789 1.660 3.527  0.12
C 0.424 1.003 -3.393  -0.25
H -0.941 1.454 3.097  0.14
H -0.766 3.306 -0.294  -0.16
C 0.002 -0.342 3.845  -0.18
H 0.980 -0.820 3.850  0.12
H -2.317 -1.805 0.272  0.10
N 0.517 0.679 1.748  -0.10
H -2.039 -2.831 1.718  0.08
H 1.963 0.999 0.283  0.07
C -0.988 -1.240 3.142  -0.16
C -0.153 -1.817 -3.718  -0.30
C 0.061 0.959 3.114  -0.16
H -2.005 -0.969 3.459  0.12
H -0.216 -1.353 -5.814  0.05
Be 0.116 0.190 -1.913  -0.09
H 2.632 0.647 1.939  0.10
P 0.282 2.739 -1.074  0.74
H -0.843 -2.284 3.438  0.12
H -0.846 -2.836 0.375  0.09
C -0.057 -0.940 -4.818  -0.25
C -1.558 -2.216 0.949  -0.03
C 0.247 0.409 -4.633  -0.32
N -0.880 -1.145 1.666  -0.06
O -0.130 -0.152 -0.309  -0.05
H 0.357 0.973 -5.577  0.06
H -0.301 -0.179 4.879  0.11
C -0.163 -0.212 0.982  -0.37
H -0.391 -2.872 -3.913  0.05
H 0.424 3.817 -1.983  -0.13
H -0.002 -2.116 -1.598  -0.03
H 1.851 2.236 1.555  0.06
H 1.338 3.238 -0.257  -0.17
C 1.833 1.165 1.360  -0.08
*/

Written answer >
Geometry (Å):